Work order.
Now quote only the lines further below with the word "Ga" in them.

Input.
____________
(1)
Material: MnPPt
Method: DFT, PBE-GGA
State: relaxed

a = 4.0089 Å, b = 4.0089 Å, c = 3.2666 Å
α = 90.00°, β = 90.00°, γ = 120.00°
Space group P-6m2 (No. 187)
One atom of each set of equivalent atoms:
Mn 0.0000 0.0000 0.0000 (multiplicity 1)
P 0.6667 0.3333 0.5000 (multiplicity 1)
Pt 0.3333 0.6667 0.5000 (multiplicity 1)

Output
Raw total energy   -7.16 eV/atom
ρ   10.263 g/cm³
Formation energy   -0.2837 eV/atom

---

(2)
Material: Na6Au3O
Method: DFT, PBE-GGA
State: relaxed

a = 10.915 Å, b = 6.713 Å, c = 6.627 Å
α = 90.00°, β = 104.62°, γ = 90.00°
Space group C2/m (No. 12)
One atom of each set of equivalent atoms:
Na 0.099 0.235 0.359 (multiplicity 8)
Na 0.161 0.000 0.812 (multiplicity 4)
Au 0.000 0.500 0.000 (multiplicity 2)
Au 0.171 0.500 0.748 (multiplicity 4)
O 0.000 0.000 0.500 (multiplicity 2)

Output
Raw total energy   -2.79 eV/atom
Formation energy (no corrections)   -0.52 eV/atom
ρ   5.265 g/cm³

---

> Which value of raw total energy does entry 2 give?

-2.79 eV/atom

---

> Among the records above, which one has the lowest ρ?

Na6Au3O

---

> Which value of raw total energy does entry 1 give?

-7.16 eV/atom

---

> Number 1 is which compound?

MnPPt

~~~~~

1.
This record from the Alexandria database describes a relaxed TiHgCl2 crystal. The functional is GGA-PBEsol.

```
TiHgCl2
1.0
1.5954 0.9211 10.0382
-1.5954 0.9211 10.0382
0.0000 -1.8423 10.0382
Ti Hg Cl
1 1 2
direct
0.0000 0.0000 0.0000 Ti
0.5000 0.5000 0.5000 Hg
0.3866 0.3866 0.3866 Cl
0.6134 0.6134 0.6134 Cl
```

Computed properties:
energy = -4.28 eV/atom
ΔE_f (raw) = -1052.1 meV/atom
DOS(E_F) = 1.899 states/eV per cell
symmetry = R-3m
density = 6.0 g cm⁻³

***

2.
This record from the Alexandria database describes a relaxed MgS2 crystal. The functional is GGA-PBEsol.

```
MgS2
1.0
1.9657 -3.4026 0.0000
1.9657 3.4026 0.0000
0.0000 0.0000 9.0904
Mg S
2 4
direct
0.0013 0.9987 0.5000 Mg
0.9987 0.0013 0.0000 Mg
0.3325 0.6675 0.8649 S
0.3345 0.6655 0.6350 S
0.6655 0.3345 0.1350 S
0.6675 0.3325 0.3649 S
```

Computed properties:
energy = -4.36 eV/atom
ΔE_f (raw) = -861.2 meV/atom
symmetry = Cmc2_1
density = 2.4 g cm⁻³

***

3.
This record from the Alexandria database describes a relaxed ErGaO3 crystal. The functional is GGA-PBEsol.

```
ErGaO3
1.0
5.5272 0.0000 0.0000
0.0000 7.4818 0.0000
0.0000 0.0000 5.1945
Er Ga O
4 4 12
direct
0.0727 0.2500 0.0211 Er
0.4273 0.7500 0.5211 Er
0.5727 0.2500 0.4789 Er
0.9273 0.7500 0.9789 Er
0.0000 0.0000 0.5000 Ga
0.0000 0.5000 0.5000 Ga
0.5000 0.0000 0.0000 Ga
0.5000 0.5000 0.0000 Ga
0.0403 0.7500 0.3841 O
0.1938 0.5585 0.8088 O
0.1938 0.9415 0.8088 O
0.3062 0.0585 0.3088 O
0.3062 0.4415 0.3088 O
0.4597 0.2500 0.8841 O
0.5403 0.7500 0.1159 O
0.6938 0.5585 0.6912 O
0.6938 0.9415 0.6912 O
0.8062 0.0585 0.1912 O
0.8062 0.4415 0.1912 O
0.9597 0.2500 0.6159 O
```

Computed properties:
energy = -7.62 eV/atom
ΔE_f (raw) = -2813.0 meV/atom
DOS(E_F) = 0.000 states/eV per cell
symmetry = Pnma
density = 8.8 g cm⁻³

***

4.
This record from the Alexandria database describes a relaxed SnBNF2 crystal. The functional is GGA-PBEsol.

```
SnBNF2
1.0
4.4949 0.0000 0.0000
0.0000 4.4949 0.0000
0.0000 0.0000 2.7451
Sn B N F
1 1 1 2
direct
0.0000 0.0000 0.0000 Sn
0.5000 0.5000 0.5000 B
0.5000 0.5000 0.0000 N
0.0000 0.5000 0.5000 F
0.5000 0.0000 0.5000 F
```

Computed properties:
energy = -5.81 eV/atom
ΔE_f (raw) = -1079.7 meV/atom
DOS(E_F) = 0.720 states/eV per cell
symmetry = P4/mmm
density = 5.4 g cm⁻³

***

5.
This record from the Alexandria database describes a relaxed Mn2PbAuO crystal. The functional is GGA-PBEsol.

```
Mn2PbAuO
1.0
3.9450 0.0000 0.0000
0.0000 3.9450 0.0000
0.0000 0.0000 5.4367
Mn Pb Au O
2 1 1 1
direct
0.0000 0.5000 0.0000 Mn
0.5000 0.0000 0.0000 Mn
0.0000 0.0000 0.5000 Pb
0.5000 0.5000 0.5000 Au
0.5000 0.5000 0.0000 O
```

Computed properties:
energy = -6.59 eV/atom
ΔE_f (raw) = -47.1 meV/atom
DOS(E_F) = 3.456 states/eV per cell
symmetry = P4/mmm
density = 10.4 g cm⁻³

***

6.
____________

Reply.
Er Ga O
0.0000 0.0000 0.5000 Ga
0.0000 0.5000 0.5000 Ga
0.5000 0.0000 0.0000 Ga
0.5000 0.5000 0.0000 Ga